Job:
Please find the line further down that holds "0.0000 4.0121", then print that line and all lines after it there.

Excerpt:
+++
1.
PBE ReTeIN2, optimized geometry; crystal system = tetragonal; energy relative to the elements, uncorrected = 1001.5 meV/atom; ρ = 7.998 g/cm3; D(E_F) = 0.7411 states/eV/atom; magnetic moment = 0.000 μB per formula unit; SG = No. 123; E_tot = -5.76 eV/atom
1.0
4.0121 0.0000 0.0000
0.0000 4.0121 0.0000
0.0000 0.0000 6.0458
I N Re Te
1 2 1 1
Cartesian
0.0000 0.0000 3.0229 I
2.0061 0.0000 0.0000 N
0.0000 2.0061 0.0000 N
0.0000 0.0000 0.0000 Re
2.0061 2.0061 3.0229 Te

---

2.
PBE ReTeIN2, optimized geometry; crystal system = tetragonal; energy relative to the elements, uncorrected = 776.9 meV/atom; ρ = 8.195 g/cm3; D(E_F) = 0.6671 states/eV/atom; magnetic moment = 0.007 μB per formula unit; SG = No. 123; E_tot = -5.98 eV/atom
1.0
-3.9880 -0.3273 -0.4586
0.0045 -3.2966 2.3138
-0.8190 3.3298 4.7457
Te N I Re
1 2 1 1
Cartesian
-0.4095 1.6649 2.3728 Te
-1.9940 -0.1636 -0.2293 N
0.0022 -1.6483 1.1569 N
-2.4012 -0.1471 3.3005 I
0.0000 0.0000 0.0000 Re

---

3.
PBE ReTeIN2, optimized geometry; crystal system = tetragonal; energy relative to the elements, uncorrected = 2243.1 meV/atom; ρ = 6.596 g/cm3; D(E_F) = 0.7209 states/eV/atom; magnetic moment = 3.697 μB per formula unit; SG = No. 123; E_tot = -4.52 eV/atom
1.0
4.0176 0.0000 0.0000
0.0000 4.0176 0.0000
0.0000 0.0000 7.3107
Te N Re I
1 2 1 1
Cartesian
0.0000 0.0000 0.0000 Te
0.0000 2.0088 0.0000 N
2.0088 0.0000 0.0000 N
2.0088 2.0088 3.6553 Re
0.0000 0.0000 3.6553 I

---

4.
PBE ReTeIN2, optimized geometry; crystal system = tetragonal; energy relative to the elements, uncorrected = 2435.6 meV/atom; ρ = 6.962 g/cm3; D(E_F) = 0.5338 states/eV/atom; magnetic moment = 3.584 μB per formula unit; SG = No. 123; E_tot = -4.32 eV/atom
1.0
3.9665 0.0000 0.0000
0.0000 3.9665 0.0000
0.0000 0.0000 7.1062
N I Re Te
2 1 1 1
Cartesian
0.0000 1.9832 0.0000 N
1.9832 0.0000 0.0000 N
0.0000 0.0000 0.0000 I
1.9832 1.9832 3.5531 Re
0.0000 0.0000 3.5531 Te

---

5.
PBE TiReIN2, optimized geometry; crystal system = tetragonal; energy relative to the elements, uncorrected = 815.9 meV/atom; ρ = 7.451 g/cm3; D(E_F) = 1.4809 states/eV/atom; magnetic moment = 0.000 μB per formula unit; SG = No. 123; E_tot = -6.89 eV/atom
1.0
-2.1593 -2.1643 -2.4215
2.1481 -3.1327 0.8844
-3.5598 -1.2335 4.2768
N Re I Ti
2 1 1 1
Cartesian
1.0740 -1.5664 0.4422 N
-1.0797 -1.0821 -1.2108 N
0.0000 0.0000 0.0000 Re
-1.7799 -0.6168 2.1384 I
-1.7855 -3.2653 1.3698 Ti

---

6.
PBE TiReI2N, optimized geometry; crystal system = tetragonal; energy relative to the elements, uncorrected = 975.8 meV/atom; ρ = 6.850 g/cm3; D(E_F) = 0.6858 states/eV/atom; magnetic moment = 4.676 μB per formula unit; SG = No. 123; E_tot = -5.38 eV/atom
1.0
-4.8173 -2.9717 0.6855
0.5915 -2.1676 -5.2401
1.9639 -2.8596 1.4046
I Re Ti N
2 1 1 1
Cartesian
0.2957 -1.0838 -2.6200 I
-2.4087 -1.4858 0.3427 I
-1.1310 -3.9994 -1.5750 Re
0.0000 0.0000 0.0000 Ti
0.9819 -1.4298 0.7023 N

---

7.
PBE TiReIN2, optimized geometry; crystal system = tetragonal; energy relative to the elements, uncorrected = 1300.2 meV/atom; ρ = 7.126 g/cm3; D(E_F) = 0.5184 states/eV/atom; magnetic moment = 3.518 μB per formula unit; SG = No. 123; E_tot = -6.41 eV/atom
1.0
3.9476 0.0000 0.0000
0.0000 3.9476 0.0000
0.0000 0.0000 5.8165
I N Ti Re
1 2 1 1
Cartesian
0.0000 0.0000 2.9083 I
0.0000 1.9738 0.0000 N
1.9738 0.0000 0.0000 N
0.0000 0.0000 0.0000 Ti
1.9738 1.9738 2.9083 Re

---

8.
PBE TiReI2N, optimized geometry; crystal system = tetragonal; energy relative to the elements, uncorrected = 730.3 meV/atom; ρ = 7.168 g/cm3; D(E_F) = 1.7177 states/eV/atom; magnetic moment = 0.514 μB per formula unit; SG = No. 123; E_tot = -5.62 eV/atom
1.0
5.5636 0.0000 0.0000
0.0000 5.5636 0.0000
0.0000 0.0000 3.7560
Re I N Ti
1 2 1 1
Cartesian
0.0000 0.0000 0.0000 Re
0.0000 2.7818 0.0000 I
2.7818 0.0000 0.0000 I
0.0000 0.0000 1.8780 N
2.7818 2.7818 1.8780 Ti
+++

Written answer:
0.0000 4.0121 0.0000
0.0000 0.0000 6.0458
I N Re Te
1 2 1 1
Cartesian
0.0000 0.0000 3.0229 I
2.0061 0.0000 0.0000 N
0.0000 2.0061 0.0000 N
0.0000 0.0000 0.0000 Re
2.0061 2.0061 3.0229 Te

---

2.
PBE ReTeIN2, optimized geometry; crystal system = tetragonal; energy relative to the elements, uncorrected = 776.9 meV/atom; ρ = 8.195 g/cm3; D(E_F) = 0.6671 states/eV/atom; magnetic moment = 0.007 μB per formula unit; SG = No. 123; E_tot = -5.98 eV/atom
1.0
-3.9880 -0.3273 -0.4586
0.0045 -3.2966 2.3138
-0.8190 3.3298 4.7457
Te N I Re
1 2 1 1
Cartesian
-0.4095 1.6649 2.3728 Te
-1.9940 -0.1636 -0.2293 N
0.0022 -1.6483 1.1569 N
-2.4012 -0.1471 3.3005 I
0.0000 0.0000 0.0000 Re

---

3.
PBE ReTeIN2, optimized geometry; crystal system = tetragonal; energy relative to the elements, uncorrected = 2243.1 meV/atom; ρ = 6.596 g/cm3; D(E_F) = 0.7209 states/eV/atom; magnetic moment = 3.697 μB per formula unit; SG = No. 123; E_tot = -4.52 eV/atom
1.0
4.0176 0.0000 0.0000
0.0000 4.0176 0.0000
0.0000 0.0000 7.3107
Te N Re I
1 2 1 1
Cartesian
0.0000 0.0000 0.0000 Te
0.0000 2.0088 0.0000 N
2.0088 0.0000 0.0000 N
2.0088 2.0088 3.6553 Re
0.0000 0.0000 3.6553 I

---

4.
PBE ReTeIN2, optimized geometry; crystal system = tetragonal; energy relative to the elements, uncorrected = 2435.6 meV/atom; ρ = 6.962 g/cm3; D(E_F) = 0.5338 states/eV/atom; magnetic moment = 3.584 μB per formula unit; SG = No. 123; E_tot = -4.32 eV/atom
1.0
3.9665 0.0000 0.0000
0.0000 3.9665 0.0000
0.0000 0.0000 7.1062
N I Re Te
2 1 1 1
Cartesian
0.0000 1.9832 0.0000 N
1.9832 0.0000 0.0000 N
0.0000 0.0000 0.0000 I
1.9832 1.9832 3.5531 Re
0.0000 0.0000 3.5531 Te

---

5.
PBE TiReIN2, optimized geometry; crystal system = tetragonal; energy relative to the elements, uncorrected = 815.9 meV/atom; ρ = 7.451 g/cm3; D(E_F) = 1.4809 states/eV/atom; magnetic moment = 0.000 μB per formula unit; SG = No. 123; E_tot = -6.89 eV/atom
1.0
-2.1593 -2.1643 -2.4215
2.1481 -3.1327 0.8844
-3.5598 -1.2335 4.2768
N Re I Ti
2 1 1 1
Cartesian
1.0740 -1.5664 0.4422 N
-1.0797 -1.0821 -1.2108 N
0.0000 0.0000 0.0000 Re
-1.7799 -0.6168 2.1384 I
-1.7855 -3.2653 1.3698 Ti

---

6.
PBE TiReI2N, optimized geometry; crystal system = tetragonal; energy relative to the elements, uncorrected = 975.8 meV/atom; ρ = 6.850 g/cm3; D(E_F) = 0.6858 states/eV/atom; magnetic moment = 4.676 μB per formula unit; SG = No. 123; E_tot = -5.38 eV/atom
1.0
-4.8173 -2.9717 0.6855
0.5915 -2.1676 -5.2401
1.9639 -2.8596 1.4046
I Re Ti N
2 1 1 1
Cartesian
0.2957 -1.0838 -2.6200 I
-2.4087 -1.4858 0.3427 I
-1.1310 -3.9994 -1.5750 Re
0.0000 0.0000 0.0000 Ti
0.9819 -1.4298 0.7023 N

---

7.
PBE TiReIN2, optimized geometry; crystal system = tetragonal; energy relative to the elements, uncorrected = 1300.2 meV/atom; ρ = 7.126 g/cm3; D(E_F) = 0.5184 states/eV/atom; magnetic moment = 3.518 μB per formula unit; SG = No. 123; E_tot = -6.41 eV/atom
1.0
3.9476 0.0000 0.0000
0.0000 3.9476 0.0000
0.0000 0.0000 5.8165
I N Ti Re
1 2 1 1
Cartesian
0.0000 0.0000 2.9083 I
0.0000 1.9738 0.0000 N
1.9738 0.0000 0.0000 N
0.0000 0.0000 0.0000 Ti
1.9738 1.9738 2.9083 Re

---

8.
PBE TiReI2N, optimized geometry; crystal system = tetragonal; energy relative to the elements, uncorrected = 730.3 meV/atom; ρ = 7.168 g/cm3; D(E_F) = 1.7177 states/eV/atom; magnetic moment = 0.514 μB per formula unit; SG = No. 123; E_tot = -5.62 eV/atom
1.0
5.5636 0.0000 0.0000
0.0000 5.5636 0.0000
0.0000 0.0000 3.7560
Re I N Ti
1 2 1 1
Cartesian
0.0000 0.0000 0.0000 Re
0.0000 2.7818 0.0000 I
2.7818 0.0000 0.0000 I
0.0000 0.0000 1.8780 N
2.7818 2.7818 1.8780 Ti